• Wanted:
The reader should restate all of the calculation results underneath with every line break kept.

• Listing:
+++
Here is the molecule C4H5ClSSi in a non-equilibrium geometry from the OMol25 dataset. Energies are from ωB97M-V/def2-TZVPD.

## Properties
maximum force = 4.4 eV Å⁻¹
HOMO level (alpha / beta) = -0.2868 / -0.2893 Ha
total energy = -35458.7025 eV
relative energy (zero: lowest compared OMol25 entry of this formula, charge and spin) = 571.0 kJ/mol
orbital gap (alpha / beta) = 6.98 / 6.89 eV

Geometry as ORCA input:
```
! wB97M-V def2-TZVPD RIJCOSX def2/J DEFGRID3
* xyz 0 1
C -0.490 1.079 1.877
C 0.135 1.700 0.883
C -0.595 -0.286 2.081
C 0.140 -0.520 -0.526
Si 0.624 -0.724 -2.312
S -0.292 -1.413 0.769
Cl 1.799 -2.373 -2.535
H -0.868 1.530 2.754
H 0.081 1.993 -0.114
H -1.114 -0.730 2.804
H 1.328 0.566 -2.631
H -0.749 -0.823 -3.051
*
```

=====

Here is the ion C6H11N2S with charge +1 in a non-equilibrium geometry from the OMol25 dataset. Energies are from ωB97M-V/def2-TZVPD.

## Properties
maximum force = 4.5 eV Å⁻¹
HOMO level = -0.4303 Ha
total energy = -20207.2897 eV
relative energy (zero: lowest compared OMol25 entry of this formula, charge and spin) = 276.2 kJ/mol
orbital gap = 8.23 eV

Geometry as ORCA input:
```
! wB97M-V def2-TZVPD RIJCOSX def2/J DEFGRID3
* xyz 1 1
C -1.871 0.021 -0.389
C -0.930 1.143 -0.038
C 0.457 0.601 -0.044
C 0.837 -0.690 -0.129
C -0.213 -1.873 -0.100
N -1.437 -1.205 0.344
S 2.520 -1.004 0.031
N 2.895 0.756 -0.210
C 1.647 1.419 0.310
H -2.871 0.298 -0.213
H -1.729 -0.315 -1.391
H -1.169 1.813 0.845
H -1.105 1.937 -0.800
H -0.284 -2.375 -1.087
H 0.090 -2.639 0.648
H -2.218 -1.770 0.373
H -1.264 -1.037 1.436
H 3.266 0.878 -1.121
H 1.707 2.469 0.066
H 1.671 1.573 1.467
*
```

=====

Here is a cluster of 8 separate species, C5H23O9 in total in a non-equilibrium geometry from the OMol25 dataset. Energies are from ωB97M-V/def2-TZVPD.

## Properties
maximum force = 4.1 eV Å⁻¹
⟨S²⟩ = 0.755
HOMO level (alpha / beta) = -0.3082 / -0.3081 Ha
total energy = -23982.5380 eV
orbital gap (alpha / beta) = 8.10 / 4.50 eV

Geometry as ORCA input:
```
! wB97M-V def2-TZVPD RIJCOSX def2/J DEFGRID3
* xyz 0 2
O -0.560 0.324 -0.500
H -1.324 0.001 -0.015
H -0.604 -0.055 -1.380
H 0.291 0.066 -0.139
C 3.583 0.762 1.889
C 2.688 0.943 0.598
C 3.396 1.694 -0.556
O 1.996 -0.261 0.254
H 4.076 -0.197 1.729
H 2.930 0.716 2.761
H 4.254 1.560 2.207
H 2.018 1.644 1.096
H 3.823 2.587 -0.098
H 2.867 1.960 -1.472
H 4.297 1.135 -0.807
C -4.758 -0.057 1.733
C -3.375 0.247 1.151
O -3.040 1.422 0.910
O -2.571 -0.686 0.882
H -4.795 -1.015 2.251
H -5.466 -0.014 0.905
H -4.927 0.710 2.488
O 0.230 -0.859 2.758
H -0.624 -0.816 2.329
H 0.852 -0.585 2.083
O -1.264 -2.768 -0.629
H -1.728 -2.134 -0.082
H -1.959 -3.254 -1.074
O -0.950 2.560 -3.036
H -0.643 3.151 -3.724
H -0.578 1.709 -3.267
O -0.663 -0.447 -3.195
H -0.036 -1.169 -3.158
H -1.373 -0.775 -3.747
O 1.538 -3.003 -0.286
H 1.760 -2.074 -0.241
H 0.639 -3.020 -0.615
*
```

----------

The following is a quantum chemistry calculation of a molecular structure, C43H54CuN8P2Se at a distorted geometry, from the Open Molecules 2025 dataset.

XYZ file:
```
109
Properties=species:S:1:pos:R:3:forces:R:3:lowdin_charge:R:1
Cu -0.053 0.363 -0.350 -0.8 0.0 -0.3 -0.06
N 0.955 1.287 2.752 0.6 0.4 -0.9 -0.38
P -0.614 1.107 3.303 -1.5 1.1 -0.5 0.99
C -1.040 2.820 4.017 -0.6 -1.4 0.3 -0.34
C -2.323 3.330 3.795 1.1 0.2 -0.4 -0.12
C -2.624 4.624 4.097 -0.5 0.6 -0.3 -0.09
C -1.729 5.419 4.750 0.1 1.5 0.6 -0.10
C -0.501 4.942 5.068 1.4 -1.6 0.0 -0.07
C -0.163 3.621 4.707 -0.2 0.8 0.4 -0.10
C -0.545 -0.089 4.661 0.1 0.9 0.4 -0.39
C 0.550 -0.894 4.856 0.1 -1.5 1.2 -0.10
C 0.508 -1.884 5.864 -1.2 0.4 0.4 -0.05
C -0.631 -2.035 6.704 1.5 0.1 -1.8 -0.07
C -1.760 -1.318 6.355 0.1 0.2 0.9 -0.10
C -1.681 -0.292 5.443 -1.0 0.5 -0.8 -0.12
P 1.353 1.299 1.055 -0.6 -1.7 0.9 0.87
C 2.834 0.307 1.101 0.9 -2.5 0.5 -0.36
C 4.114 0.795 1.298 0.3 1.2 0.2 -0.09
C 5.198 -0.089 1.459 -1.2 -1.5 0.0 -0.05
C 4.954 -1.500 1.446 1.2 1.5 -0.4 -0.07
C 3.684 -2.029 1.248 -0.7 1.2 -0.4 -0.10
C 2.647 -1.144 1.089 -1.1 3.1 -0.7 -0.10
+++

• Done:
Here is the molecule C4H5ClSSi in a non-equilibrium geometry from the OMol25 dataset. Energies are from ωB97M-V/def2-TZVPD.

## Properties
maximum force = 4.4 eV Å⁻¹
HOMO level (alpha / beta) = -0.2868 / -0.2893 Ha
total energy = -35458.7025 eV
relative energy (zero: lowest compared OMol25 entry of this formula, charge and spin) = 571.0 kJ/mol
orbital gap (alpha / beta) = 6.98 / 6.89 eV

Geometry as ORCA input:
```
! wB97M-V def2-TZVPD RIJCOSX def2/J DEFGRID3
* xyz 0 1
C -0.490 1.079 1.877
C 0.135 1.700 0.883
C -0.595 -0.286 2.081
C 0.140 -0.520 -0.526
Si 0.624 -0.724 -2.312
S -0.292 -1.413 0.769
Cl 1.799 -2.373 -2.535
H -0.868 1.530 2.754
H 0.081 1.993 -0.114
H -1.114 -0.730 2.804
H 1.328 0.566 -2.631
H -0.749 -0.823 -3.051
*
```

=====

Here is the ion C6H11N2S with charge +1 in a non-equilibrium geometry from the OMol25 dataset. Energies are from ωB97M-V/def2-TZVPD.

## Properties
maximum force = 4.5 eV Å⁻¹
HOMO level = -0.4303 Ha
total energy = -20207.2897 eV
relative energy (zero: lowest compared OMol25 entry of this formula, charge and spin) = 276.2 kJ/mol
orbital gap = 8.23 eV

Geometry as ORCA input:
```
! wB97M-V def2-TZVPD RIJCOSX def2/J DEFGRID3
* xyz 1 1
C -1.871 0.021 -0.389
C -0.930 1.143 -0.038
C 0.457 0.601 -0.044
C 0.837 -0.690 -0.129
C -0.213 -1.873 -0.100
N -1.437 -1.205 0.344
S 2.520 -1.004 0.031
N 2.895 0.756 -0.210
C 1.647 1.419 0.310
H -2.871 0.298 -0.213
H -1.729 -0.315 -1.391
H -1.169 1.813 0.845
H -1.105 1.937 -0.800
H -0.284 -2.375 -1.087
H 0.090 -2.639 0.648
H -2.218 -1.770 0.373
H -1.264 -1.037 1.436
H 3.266 0.878 -1.121
H 1.707 2.469 0.066
H 1.671 1.573 1.467
*
```

=====

Here is a cluster of 8 separate species, C5H23O9 in total in a non-equilibrium geometry from the OMol25 dataset. Energies are from ωB97M-V/def2-TZVPD.

## Properties
maximum force = 4.1 eV Å⁻¹
⟨S²⟩ = 0.755
HOMO level (alpha / beta) = -0.3082 / -0.3081 Ha
total energy = -23982.5380 eV
orbital gap (alpha / beta) = 8.10 / 4.50 eV

Geometry as ORCA input:
```
! wB97M-V def2-TZVPD RIJCOSX def2/J DEFGRID3
* xyz 0 2
O -0.560 0.324 -0.500
H -1.324 0.001 -0.015
H -0.604 -0.055 -1.380
H 0.291 0.066 -0.139
C 3.583 0.762 1.889
C 2.688 0.943 0.598
C 3.396 1.694 -0.556
O 1.996 -0.261 0.254
H 4.076 -0.197 1.729
H 2.930 0.716 2.761
H 4.254 1.560 2.207
H 2.018 1.644 1.096
H 3.823 2.587 -0.098
H 2.867 1.960 -1.472
H 4.297 1.135 -0.807
C -4.758 -0.057 1.733
C -3.375 0.247 1.151
O -3.040 1.422 0.910
O -2.571 -0.686 0.882
H -4.795 -1.015 2.251
H -5.466 -0.014 0.905
H -4.927 0.710 2.488
O 0.230 -0.859 2.758
H -0.624 -0.816 2.329
H 0.852 -0.585 2.083
O -1.264 -2.768 -0.629
H -1.728 -2.134 -0.082
H -1.959 -3.254 -1.074
O -0.950 2.560 -3.036
H -0.643 3.151 -3.724
H -0.578 1.709 -3.267
O -0.663 -0.447 -3.195
H -0.036 -1.169 -3.158
H -1.373 -0.775 -3.747
O 1.538 -3.003 -0.286
H 1.760 -2.074 -0.241
H 0.639 -3.020 -0.615
*
```

----------

The following is a quantum chemistry calculation of a molecular structure, C43H54CuN8P2Se at a distorted geometry, from the Open Molecules 2025 dataset.

XYZ file:
```
109
Properties=species:S:1:pos:R:3:forces:R:3:lowdin_charge:R:1
Cu -0.053 0.363 -0.350 -0.8 0.0 -0.3 -0.06
N 0.955 1.287 2.752 0.6 0.4 -0.9 -0.38
P -0.614 1.107 3.303 -1.5 1.1 -0.5 0.99
C -1.040 2.820 4.017 -0.6 -1.4 0.3 -0.34
C -2.323 3.330 3.795 1.1 0.2 -0.4 -0.12
C -2.624 4.624 4.097 -0.5 0.6 -0.3 -0.09
C -1.729 5.419 4.750 0.1 1.5 0.6 -0.10
C -0.501 4.942 5.068 1.4 -1.6 0.0 -0.07
C -0.163 3.621 4.707 -0.2 0.8 0.4 -0.10
C -0.545 -0.089 4.661 0.1 0.9 0.4 -0.39
C 0.550 -0.894 4.856 0.1 -1.5 1.2 -0.10
C 0.508 -1.884 5.864 -1.2 0.4 0.4 -0.05
C -0.631 -2.035 6.704 1.5 0.1 -1.8 -0.07
C -1.760 -1.318 6.355 0.1 0.2 0.9 -0.10
C -1.681 -0.292 5.443 -1.0 0.5 -0.8 -0.12
P 1.353 1.299 1.055 -0.6 -1.7 0.9 0.87
C 2.834 0.307 1.101 0.9 -2.5 0.5 -0.36
C 4.114 0.795 1.298 0.3 1.2 0.2 -0.09
C 5.198 -0.089 1.459 -1.2 -1.5 0.0 -0.05
C 4.954 -1.500 1.446 1.2 1.5 -0.4 -0.07
C 3.684 -2.029 1.248 -0.7 1.2 -0.4 -0.10
C 2.647 -1.144 1.089 -1.1 3.1 -0.7 -0.10